What is needed: restate the lines underneath from the one with "_cell_length_c 8.4025" to the one with "-2055 meV/atom" with every line break kept.

<<<
# 1
# GaPtO2F (PBE, relaxed)
# Uncorrected formation energy   -572 meV/atom
# E   -4.743 eV/atom
# M_tot   0.02 μB per atom
# Calculated density   9.1 g cm⁻³
data_GaPtO2F
_cell_length_a 3.9315
_cell_length_b 3.9315
_cell_length_c 3.7137
_cell_angle_alpha 90.00
_cell_angle_beta 90.00
_cell_angle_gamma 90.00
_symmetry_space_group_name_H-M 'P 4/m m m'
_symmetry_Int_Tables_number 123
_symmetry_space_group_name_Hall '-P 4 2'
loop_
_atom_site_label
_atom_site_type_symbol
_atom_site_fract_x
_atom_site_fract_y
_atom_site_fract_z
Ga1 Ga 0.0000 0.0000 0.0000
Pt1 Pt 0.5000 0.5000 0.5000
O1 O 0.0000 0.5000 0.0000
F1 F 0.0000 0.0000 0.5000



# 2
# Ca2ZrMn (PBE, relaxed)
# DFT formation energy   0.567 eV/atom
# E   -4.864 eV/atom
# M_tot   0.75 μB per atom
# Calculated density   3.5 g cm⁻³
# Energy relative to the lowest polymorph listed for this composition   1.47 eV per formula unit
data_Ca2ZrMn
_cell_length_a 6.5034
_cell_length_b 10.0334
_cell_length_c 3.3280
_cell_angle_alpha 90.00
_cell_angle_beta 90.16
_cell_angle_gamma 90.00
_symmetry_space_group_name_H-M 'C 1 2/m 1'
_symmetry_Int_Tables_number 12
loop_
_symmetry_equiv_pos_as_xyz
'x,y,z'
'-x,-y,-z'
'-x,y,-z'
'x,-y,z'
'x+1/2,y+1/2,z'
'-x+1/2,-y+1/2,-z'
'-x+1/2,y+1/2,-z'
'x+1/2,-y+1/2,z'
loop_
_atom_site_label
_atom_site_type_symbol
_atom_site_fract_x
_atom_site_fract_y
_atom_site_fract_z
Ca1 Ca 0.2500 0.2500 0.0000
Zr1 Zr 0.0000 0.0000 0.5000
Mn1 Mn 0.0000 0.5000 0.5000



# 3
# Pm2NiRh2 (PBE, relaxed)
# DFT formation energy   -0.578 eV/atom
# E   -6.575 eV/atom
# M_tot   0.00 μB per atom
# Calculated density   9.1 g cm⁻³
data_Pm2NiRh2
_cell_length_a 4.2628
_cell_length_b 5.6675
_cell_length_c 8.4025
_cell_angle_alpha 90.00
_cell_angle_beta 90.00
_cell_angle_gamma 90.00
_symmetry_space_group_name_H-M 'I m m m'
_symmetry_Int_Tables_number 71
_symmetry_space_group_name_Hall '-I 2 2'
loop_
_atom_site_label
_atom_site_type_symbol
_atom_site_fract_x
_atom_site_fract_y
_atom_site_fract_z
Pm1 Pm 0.0000 0.0000 0.1994
Ni1 Ni 0.0000 0.5000 0.0000
Rh1 Rh 0.0000 0.2494 0.5000



# 4
# MoSe (PBE, relaxed)
# Uncorrected formation energy   -195 meV/atom
# E   -7.353 eV/atom
# M_tot   0.00 μB per atom
# Calculated density   7.1 g cm⁻³
# Energy relative to the lowest polymorph listed for this composition   0.17 eV per formula unit
data_MoSe
_cell_length_a 3.1097
_cell_length_b 3.1097
_cell_length_c 29.1736
_cell_angle_alpha 90.00
_cell_angle_beta 90.00
_cell_angle_gamma 120.00
_symmetry_space_group_name_H-M 'R -3 m'
_symmetry_Int_Tables_number 166
_symmetry_space_group_name_Hall '-R 3 2"'
loop_
_atom_site_label
_atom_site_type_symbol
_atom_site_fract_x
_atom_site_fract_y
_atom_site_fract_z
Mo1 Mo 0.0000 0.0000 0.1270
Se1 Se 0.0000 0.0000 0.4001



# 5
# BaMg3C4O12 (PBE, relaxed)
# Uncorrected formation energy   -2055 meV/atom
# E   -7.210 eV/atom
# M_tot   0.00 μB per atom
# Calculated density   3.3 g cm⁻³
data_BaMg3C4O12
_cell_length_a 9.7426
_cell_length_b 9.7426
_cell_length_c 8.2811
_cell_angle_alpha 90.00
_cell_angle_beta 90.00
_cell_angle_gamma 120.00
_symmetry_space_group_name_H-M 'R 3 2'
_symmetry_Int_Tables_number 155
_symmetry_space_group_name_Hall 'R 3 2"'
loop_
_atom_site_label
_atom_site_type_symbol
_atom_site_fract_x
_atom_site_fract_y
_atom_site_fract_z
Ba1 Ba 0.0000 0.0000 0.0000
Mg1 Mg 0.0000 0.5474 0.0000
C1 C 0.0000 0.0000 0.5000
C2 C 0.0000 0.4507 0.5000
O1 O 0.0000 0.5865 0.5000
O2 O 0.0000 0.8660 0.5000
O3 O 0.0107 0.2151 0.2008



# 6
# Eu5As4 (PBE, relaxed)
# DFT formation energy   -1.193 eV/atom
# E   -8.967 eV/atom
# M_tot   3.89 μB per atom
# Calculated density   7.1 g cm⁻³
data_Eu5As4
_cell_length_a 15.4123
_cell_length_b 7.9826
_cell_length_c 8.0213
_cell_angle_alpha 90.00
_cell_angle_beta 90.00
_cell_angle_gamma 90.00
_symmetry_space_group_name_H-M 'C m c e'
_symmetry_Int_Tables_number 64
_symmetry_space_group_name_Hall '-C 2ac 2'
loop_
_atom_site_label
_atom_site_type_symbol
_atom_site_fract_x
_atom_site_fract_y
_atom_site_fract_z
Eu1 Eu 0.0000 0.0000 0.0000
>>>

_cell_length_c 8.4025
_cell_angle_alpha 90.00
_cell_angle_beta 90.00
_cell_angle_gamma 90.00
_symmetry_space_group_name_H-M 'I m m m'
_symmetry_Int_Tables_number 71
_symmetry_space_group_name_Hall '-I 2 2'
loop_
_atom_site_label
_atom_site_type_symbol
_atom_site_fract_x
_atom_site_fract_y
_atom_site_fract_z
Pm1 Pm 0.0000 0.0000 0.1994
Ni1 Ni 0.0000 0.5000 0.0000
Rh1 Rh 0.0000 0.2494 0.5000



# 4
# MoSe (PBE, relaxed)
# Uncorrected formation energy   -195 meV/atom
# E   -7.353 eV/atom
# M_tot   0.00 μB per atom
# Calculated density   7.1 g cm⁻³
# Energy relative to the lowest polymorph listed for this composition   0.17 eV per formula unit
data_MoSe
_cell_length_a 3.1097
_cell_length_b 3.1097
_cell_length_c 29.1736
_cell_angle_alpha 90.00
_cell_angle_beta 90.00
_cell_angle_gamma 120.00
_symmetry_space_group_name_H-M 'R -3 m'
_symmetry_Int_Tables_number 166
_symmetry_space_group_name_Hall '-R 3 2"'
loop_
_atom_site_label
_atom_site_type_symbol
_atom_site_fract_x
_atom_site_fract_y
_atom_site_fract_z
Mo1 Mo 0.0000 0.0000 0.1270
Se1 Se 0.0000 0.0000 0.4001



# 5
# BaMg3C4O12 (PBE, relaxed)
# Uncorrected formation energy   -2055 meV/atom